Story and auto-ethnography are study methods based on decolonizing and liberating research perspectives. Stories, auto-ethnographies, and other qualitative methodologies enable the researcher/educator to be both a research instrument and an object in their study. Stories allow for the examination of personal growth, its effect on practice, and their impact on community. The researcher/educator is able to witness her/his own life as they collaborate with participants. Through the use of story, auto-ethnography, and other qualitative methodologies, researchers/educators can link the history of self within their community/activist work to its present conditions as they map their collective community's future.
Between two parts of the page: calculated crystals >
........
Theoretical powder diffraction line list
Compound: LaSm2Tm9
Radiation: λ = 1.5418 Å (Cu Kα)
Structure: a PBE-relaxed structure

```
data_LaSm2Tm9
_cell_length_a 4.9977
_cell_length_b 4.9977
_cell_length_c 15.0055
_cell_angle_alpha 90.00
_cell_angle_beta 90.00
_cell_angle_gamma 90.00
_symmetry_space_group_name_H-M 'P 4/m m m'
_symmetry_Int_Tables_number 123
_symmetry_space_group_name_Hall '-P 4 2'
loop_
_atom_site_label
_atom_site_fract_x
_atom_site_fract_y
_atom_site_fract_z
La1 0.0000 0.0000 0.0000
Sm1 0.0000 0.0000 0.3336
Tm1 0.0000 0.5000 0.1696
Tm2 0.0000 0.5000 0.5000
Tm3 0.5000 0.5000 0.0000
Tm4 0.5000 0.5000 0.3349
```

Principal peaks in the range 2θ = 5–70°, low angle first:
hkl  2theta  Rel. int.
1 1 3  30.98  100
2 0 0  35.93  51
2 2 0  51.72  36
3 1 3  61.52  43
2 2 6  64.58  12
........
Ecologies of Engaged Scholarship explores the use of story and auto-ethnography as a tool to know 'self' and 'other' in relationship to capacity building, pedagogical processes, and activist scholarship. It highlights activist-scholarship to better understand the epistemology and landscape of activist research. Contributors to the book self-identify as activist-scholars or scholar-activists, and in their unique chapters they consider the values informing their work, the origins and nature of their work, and how they make meaning of their work. They also consider how family and/or community has been involved, how previous schooling experiences have affected their trajectory, and how particular relationships have worked to influence their philosophical understanding. This book was originally published as a special issue of the International Journal of Qualitative Studies in Education.
About the Author: Miguel A. Guajardo is a Professor in the Education and Community Leadership Program and a member of the doctoral faculty in School Improvement at Texas State University, USA. His research interests include issues of community building, community youth development, race and ethnicity, university and community partnerships, and Latino youth and families.
Francisco Guajardo is Professor of Organization and School Leadership and the Executive Director of the B3 Institute at the University of Texas Rio Grande Valley, USA. His research interests include school and community leadership, Latino epistemologies, Borderlands studies, and the integration of the arts in community leadership.
Leslie Ann Locke is an Assistant Professor of Educational Policy and Leadership Studies at the University of Iowa, USA, and a Director of the Research Initiative on Social Justice and Equity. Her research interests include leadership for social justice, schooling for students from marginalized groups, equity-oriented education policy, and qualitative methodologies.